[Brief]
Could you set down only the lines below with the word "structure" in them?

[Entries]
<<<
DFT (GGA-PBE) results for a geometry-optimized TaZn4Br structure.

Properties
The value obtained for the energy is -2.6559 eV per atom.

Unit cell a=7.4249 b=7.4249 c=7.4249 alpha=90.00 beta=90.00 gamma=90.00
With the nearest neighbours (Å) after each atom.
Space group F-43m (No. 216)
Asymmetric unit:
Ta 0.0000 0.0000 0.0000 [4 per cell]  12 Zn 3.07, 4 Br 3.22
Zn 0.1272 0.1272 0.3728 [16 per cell]  6 Zn 2.58-2.67
Br 0.2500 0.2500 0.7500 [4 per cell]  12 Zn 3.08, 4 Ta 3.22

=====

Entry 1:
The following is a PBE calculation of LaMgTl after structural relaxation, from Alexandria.

The calculation puts the formation enthalpy at 0 K at -0.271 eV/atom. For the total energy, the calculation gives -19.40 eV/cell. As for the crystal system: orthorhombic. As for the space group: No. 44. Its volume is 175 Å³/cell.

Geometry as POSCAR:
```
LaMgTl
1.0
5.0723 -0.0026 -0.0023
2.5387 5.9019 0.0197
2.5386 0.9019 5.8327
Mg Tl La
2 2 2
Direct
0.5381 0.9764 0.9515 Mg
0.8740 0.6404 0.6159 Mg
0.5331 0.4324 0.5055 Tl
0.8791 0.0867 0.1595 Tl
0.2061 0.5343 0.0580 La
0.2062 0.0410 0.5510 La
```

Entry 2:
The following is a PBE calculation of LaMgTl2 after structural relaxation, from Alexandria.

The calculation puts the formation enthalpy at 0 K at -0.106 eV/atom. For the total energy, the calculation gives -11.68 eV/cell. As for the crystal system: orthorhombic. As for the space group: No. 65. The polymorph energy (0 for the lowest one) is 0.207 eV/atom. Its volume is 115 Å³/cell.

Geometry as POSCAR:
```
LaMgTl2
1.0
-1.9127 -1.8069 -2.2589
2.9110 -1.6609 0.8907
-4.9758 -4.5218 7.8301
La Mg Tl
1 1 2
Direct
0.5000 0.5000 0.2500 La
0.5000 0.5000 0.7500 Mg
0.0000 0.0000 0.9793 Tl
0.0000 0.0000 0.5207 Tl
```

Entry 3:
The following is a PBE calculation of LaMg3Tl3 after structural relaxation, from Alexandria.

The calculation puts the formation enthalpy at 0 K at 0.763 eV/atom. For the total energy, the calculation gives -22.94 eV/cell. As for the crystal system: cubic. As for the space group: No. 225. The polymorph energy (0 for the lowest one) is 0.457 eV/atom. Its volume is 644 Å³/cell.

Geometry as POSCAR:
```
LaMg3Tl3
1.0
0.0000 6.8536 6.8536
6.8536 0.0000 6.8536
6.8536 6.8536 0.0000
La Mg Tl
2 6 6
Direct
0.2500 0.2500 0.2500 La
0.7500 0.7500 0.7500 La
0.8501 0.1499 0.8501 Mg
0.1499 0.1499 0.8501 Mg
0.8501 0.1499 0.1499 Mg
0.8501 0.8501 0.1499 Mg
0.1499 0.8501 0.1499 Mg
0.1499 0.8501 0.8501 Mg
0.3407 0.3407 0.6593 Tl
0.6593 0.3407 0.6593 Tl
0.6593 0.3407 0.3407 Tl
0.6593 0.6593 0.3407 Tl
0.3407 0.6593 0.3407 Tl
0.3407 0.6593 0.6593 Tl
```

Entry 4:
The following is a PBE calculation of LaMgTl2 after structural relaxation, from Alexandria.

The calculation puts the formation enthalpy at 0 K at -0.020 eV/atom. For the total energy, the calculation gives -22.67 eV/cell. As for the crystal system: tetragonal. As for the space group: No. 122. The polymorph energy (0 for the lowest one) is 0.294 eV/atom. Its volume is 256 Å³/cell.

Geometry as POSCAR:
```
LaMgTl2
1.0
-2.6430 3.7149 1.9717
-0.3220 -2.5006 4.2799
7.2828 5.1001 6.4102
Tl Mg La
4 2 2
Direct
0.5751 0.1250 0.2500 Tl
0.1749 0.6250 0.2500 Tl
0.3750 0.4249 0.7500 Tl
0.8750 0.8251 0.7500 Tl
0.5000 0.5000 0.0000 Mg
0.2500 0.7500 0.5000 Mg
0.0000 0.0000 0.0000 La
0.7500 0.2500 0.5000 La
```

Entry 5:
The following is a PBE calculation of La3MgTl4 after structural relaxation, from Alexandria.

The calculation puts the formation enthalpy at 0 K at -0.344 eV/atom. For the total energy, the calculation gives -28.60 eV/cell. As for the crystal system: tetragonal. As for the space group: No. 123. Its volume is 234 Å³/cell.

Geometry as POSCAR:
```
La3MgTl4
1.0
-1.2001 -3.2638 1.3009
-0.3025 -1.2736 -3.4744
16.0120 -5.6221 0.6668
Mg Tl La
1 4 3
Direct
0.5000 0.5000 0.0000 Mg
0.0000 0.0000 0.8982 Tl
0.0000 0.0000 0.1018 Tl
0.0000 0.0000 0.3661 Tl
0.0000 0.0000 0.6339 Tl
0.5000 0.5000 0.2348 La
0.5000 0.5000 0.5000 La
0.5000 0.5000 0.7652 La
```

Entry 6:
>>>

[Worked solution]
DFT (GGA-PBE) results for a geometry-optimized TaZn4Br structure.